Absolute Choice

Chapter 559: Thank you for being so gentle


This inexplicable impulse was not caused by the breathtaking beauty of the face so close at hand, nor was it because the pink lips bitten by the teeth exuded the most alluring fragrance in the world, nor was it because of the The two-year-old boy finally grew up and learned to satisfy his own hormones.

Shi Xiaobai just understood the girl's tenderness.

She would always appear when he was most tired, quietly and silently, accompanying him.

She never participated in the most exciting adventures, but whenever the story ended, whenever the banquet was over, whenever he felt empty, tired, confused, and overwhelmed, she was there.

Suddenly looking back, she was always in the dimly lit place.

### These materials data were left in the page by mistake
'''
This entry pairs a crystal structure of NpRe3B3 with its computed powder diffraction line list. Radiation: copper Kα. Structure: a DFT-relaxed cell (GGA-PBE, Alexandria).

Structure:
Cell: 6.8017 4.0669 7.2420 Å, 90.00 111.94 90.00°
Element x y z (fractional)
1 Np 0.1267 0.2500 0.3466
2 Np 0.8733 0.7500 0.6534
3 Re 0.2222 0.2500 0.9980
4 Re 0.3204 0.7500 0.7814
5 Re 0.4511 0.7500 0.2532
6 Re 0.5489 0.2500 0.7468
7 Re 0.6796 0.2500 0.2186
8 Re 0.7778 0.7500 0.0020
9 B 0.1185 0.7500 0.0584
10 B 0.1846 0.2500 0.7013
11 B 0.4341 0.7500 0.5377
12 B 0.5659 0.2500 0.4623
13 B 0.8154 0.7500 0.2987
14 B 0.8815 0.2500 0.9416

Peak list (10 most intense, 2θ = 15–90°, by angle)
(hkl), d [Å], intensity
0 1 1, 3.479, 23
2 0 -2, 2.904, 30
1 1 1, 2.824, 34
1 1 -2, 2.683, 100
1 0 2, 2.590, 41
2 0 1, 2.517, 29
2 1 0, 2.493, 95
1 1 -3, 2.076, 50
0 2 0, 2.033, 57
3 1 -1, 1.977, 25

~~~~~

CrHSe3O8: simulated powder X-ray diffraction pattern (copper Kα), based on a GGA+U-relaxed structure.
Lines closer than 0.1° are merged.

Most intense lines, 2θ = 10–80°, sorted by position:
2θ/deg	I_rel	hkl
15.1	407	1 0 1
23.0	202	0 0 2
24.2	1000	2 1 1
26.1	557	0 3 1
30.5	118	2 0 2
34.4	151	2 2 2
37.3	310	2 4 0
39.1	146	2 4 1

Structural model:
```
CrHSe3O8
1.0
8.996 0.000 0.000
0.000 11.438 0.000
0.000 0.000 7.733
Cr H Se O
4 4 12 32
Cartesian
0.000 0.000 0.000
0.000 5.719 0.000
4.498 0.000 3.867
4.498 5.719 3.867
1.200 2.860 3.440
3.298 8.579 7.306
5.697 2.860 0.427
7.796 8.579 4.294
0.117 8.579 6.221
1.962 6.940 2.274
1.962 10.217 2.274
2.536 1.221 6.140
2.536 4.498 6.140
4.381 2.860 2.354
4.614 8.579 5.379
6.460 6.940 1.593
6.460 10.217 1.593
7.033 1.221 5.460
7.033 4.498 5.460
8.879 2.860 1.512
0.228 2.860 3.280
0.859 1.536 1.014
0.859 4.183 1.014
1.079 0.348 6.064
1.079 5.371 6.064
1.486 6.917 0.634
1.486 10.240 0.634
1.694 2.860 6.079
2.804 8.579 2.212
3.012 1.198 4.501
3.012 4.521 4.501
3.419 6.067 2.197
3.419 11.090 2.197
3.639 7.255 4.881
3.639 9.902 4.881
4.270 8.579 7.147
4.726 2.860 0.587
5.356 1.536 2.852
5.356 4.183 2.852
5.577 0.348 5.537
5.577 5.371 5.537
5.983 6.917 3.232
5.983 10.240 3.232
6.192 2.860 5.521
7.302 8.579 1.655
7.510 1.198 7.099
7.510 4.521 7.099
7.917 6.067 1.670
7.917 11.090 1.670
8.137 7.255 6.719
8.137 9.902 6.719
8.768 8.579 4.454
```

~~~~~

[1]
Structure and simulated X-ray powder pattern of Al4Ni15Sb (a GGA-PBE-relaxed structure; λ = 1.5418 Å (Cu Kα)).
Peak positions follow from Bragg's law for the DFT cell and can differ from measured ones.

Cell and atoms:
abc: 3.600 3.600 17.863
angles: 90.00 90.00 90.00
Space group P4/mmm (No. 123)
Asymmetric unit:
Al  0.000  0.000  0.099
Al  0.000  0.000  0.295
Ni  0.000  0.500  0.000
Ni  0.000  0.500  0.197
Ni  0.000  0.500  0.394
Ni  0.500  0.500  0.099
Ni  0.500  0.500  0.296
Ni  0.500  0.500  0.500
Sb  0.000  0.000  0.500

Main lines, in order of rising 2θ (2θ from 10° to 90°):
Position (°2θ), I (rel.), hkl
14.88, 2, 0 0 3
25.24, 3, 1 0 1
26.70, 2, 1 0 2
28.98, 2, 1 0 3
40.80, 2, 1 1 4
'''
### The page goes on

Thank you for being so gentle.

Light the silent lamp.

It only warms me but does not disturb my cold winter.

Shi Xiaobai didn't know what such an impulse meant, but he knew that such an impulse was beautiful, pure, and made him happy.

He didn't stop his urge.

The boy's cold and somewhat dry lips suddenly pressed heavily on the girl's warm and soft cherry lips.

"Well... ... "

Hua Li snorted. With her strength, she could certainly react to such a "sneak attack" and easily avoid it, but she didn't hide. She even pursed her lips subconsciously, as if she was ready to "receive" it.

Uh-huh, so, so shameless.

The girl's blue eyes were like a pebble suddenly falling into the lake, breaking the tranquility, causing ripples, crushing the lake light, and creating sparkling waves.

The delicate and snow-white cheeks seemed to have been smeared with the most attractive rouge, with the most delicate pink color and shyness.

Hua Li did not reject the boy's sudden kiss, but was secretly happy.

Ordinary women like to spend time in front of flowers and under the moon, brewing an ambiguous atmosphere, laying the groundwork for intimacy, and carrying out the most perfect kiss at the most perfect time.

But she is not an ordinary woman. Compared with sweet words about the beautiful moonlight, she values spotless true love more.

Kissing is the love that lovers cannot express in words.

He likes her.

This is enough.

That's great.

The corners of the girl's mouth curved in joy, like the laughing crescent moon in the night sky.


The girl's eyes suddenly opened wide.

Tongue, tongue

Data records, as found in the file >
-- begin --
For Tb8GaSn2, DFT lattice parameters and positions (GGA-PBE) gives the computed X-ray powder pattern in this record (Cu Kα (λ = 1.5418 Å)).
Lines closer than 0.1° are merged.

Peak list (8 most intense, 5 to 70 degrees two-theta, in order of rising 2θ)
28.3°, I = 42.7; 29.7°, I = 80.7; 32.0°, I = 100.0; 32.8°, I = 28.1; 34.0°, I = 35.3; 35.4°, I = 72.3; 37.5°, I = 40.5; 64.2°, I = 27.8

Cell and atoms:
Cell: 9.9862 9.9862 6.7357 Å, 103.91 103.91 29.41°
Element x y z (fractional)
Tb: 0.0186 0.0186 0.2765
Tb: 0.2161 0.2161 0.8198
Tb: 0.3468 0.3468 0.5003
Tb: 0.4091 0.4091 0.0300
Tb: 0.5909 0.5909 0.9700
Tb: 0.6532 0.6532 0.4997
Tb: 0.7839 0.7839 0.1802
Tb: 0.9814 0.9814 0.7235
Ga: 0.5000 0.5000 0.5000
Sn: 0.1804 0.1804 0.2567
Sn: 0.8196 0.8196 0.7433

=====

Structure and theoretical XRD peak list of Ta3AlB8 (the PBE geometry in the Materials Project; copper Kα).
Kinematic intensities with the Lorentz-polarization factor, no thermal factor.

Peak list (6 most intense, 10° ≤ 2θ ≤ 90°, low angle first)
two_theta	intensity
26.32	42.9
33.81	79.8
43.35	100.0
60.49	20.4
65.41	24.0
67.11	20.6

```
12
Lattice="3.061 0.000 0.000 -1.531 2.651 0.000 0.000 0.000 13.544" Properties=species:S:1:pos:R:3 pbc="T T T"
Ta 0.000 0.000 0.000
Ta 0.000 0.000 3.329
Ta 0.000 0.000 10.215
Al 0.000 0.000 6.772
B 0.000 1.767 1.686
B 0.000 1.767 5.135
B 0.000 1.767 8.409
B 0.000 1.767 11.858
B 1.531 0.884 1.686
B 1.531 0.884 5.135
B 1.531 0.884 8.409
B 1.531 0.884 11.858
```

***

Structure and theoretical XRD peak list of Na5Ni9As7 (the PBE geometry in the Materials Project; copper Kα).
Kinematic intensities with the Lorentz-polarization factor, no thermal factor.

Peak list (6 most intense, 10° ≤ 2θ ≤ 90°, low angle first)
two_theta	intensity
18.33	34.8
36.23	100.0
45.16	70.9
45.57	44.1
49.12	43.1
49.84	36.1

```
21
Lattice="9.681 0.000 0.000 -4.841 8.384 0.000 0.000 0.000 3.981" Properties=species:S:1:pos:R:3 pbc="T T T"
Na 0.000 0.000 0.000
Na -1.638 6.481 0.000
Na 0.047 3.725 0.000
Na 1.591 6.563 0.000
Na 4.841 2.795 1.991
Ni -2.070 4.155 1.991
Ni 1.647 2.032 1.991
Ni 3.218 0.882 0.000
Ni -0.207 8.099 1.991
Ni 2.277 4.514 1.991
Ni 3.996 5.156 0.000
Ni 7.098 0.411 1.991
Ni 7.308 2.346 0.000
Ni 5.776 5.942 1.991
As -0.947 2.059 1.991
As -2.584 8.175 1.991
As 0.000 5.589 1.991
As 2.666 3.157 0.000
As 5.614 0.730 0.000
As 3.531 6.534 1.991
As 6.242 4.497 0.000
```

***

Structure and theoretical XRD peak list of Pr2Co17 (the PBE geometry in the Materials Project; copper Kα).
Kinematic intensities with the Lorentz-polarization factor, no thermal factor.

Peak list (6 most intense, 10° ≤ 2θ ≤ 90°, low angle first)
two_theta	intensity
30.52	37.8
37.05	38.6
38.41	30.8
43.05	68.1
43.38	100.0
44.35	34.3

```
19
Lattice="4.202 2.426 4.085 -4.202 2.426 4.085 0.000 -4.852 4.085" Properties=species:S:1:pos:R:3 pbc="T T T"
Pr 0.000 0.000 1.924
Pr 0.000 0.000 10.330
Co -2.101 -1.213 4.085
Co 0.000 -2.392 3.955
Co -2.072 1.196 3.955
Co -1.197 -2.073 6.127
Co -2.393 0.000 6.127
-- stop --
End of the data records >

Don't, don't come in!

Well! Shi Xiaobai, why did you learn so badly

Hua Li felt ashamed, and at the same time, she felt that the power of the World Tree in her body began to drain violently.

"Holiness" is the original power of the World's Holy Tree. Kissing is an act of defiling the holiness, which would have caused her power to drain away. However, she could not refuse the joy in her heart, so she was determined to ignore the small amount of power that was being lost.

But as the boy became more intimate, the loss of power became faster and faster, reaching a point that could not be ignored.

don't want!


With a thought in her mind, Hua Li moved to the other end of the room in an instant. Her face was red and she was breathing rapidly. She felt a trace of crystal liquid hanging from the corner of her mouth. She almost ran away thousands of miles away in shame. .

"Xiaobai, I..."

Hua Li opened her mouth to say something, but was suddenly stunned.

Boy, it’s green.

His hair, eyebrows, and body hair all turned green.

The skin, blood vessels, bones, organs, and everything in the body also turned green.

It was lush, vibrant, juicy green.


Just for a moment!

The greenery is dying!

The green boy is like a withered green leaf. It goes from green to withered, broken, and shriveled in just a short moment!

At this moment, even Hua Li's consciousness couldn't capture it.


Hua Li screamed in horror. With a thought, she teleported to Shi Xiaobai. However, before she could check the boy's condition, or even reach out to touch his heartbeat and pulse, the boy broke into pieces.

Broken, like dead leaves shattered in the cold wind!

Shi Xiaobai's body was shattered into countless withered pieces!

Hua Li was stunned on the spot, her heart seemed to be clenched, and it hurt so much that she couldn't breathe.

But in the next moment, when the withered yellow fragments turned into dust and dispersed in the air, Huali saw a seed suspended in the air.

A shriveled, dark yellow, lifeless seed.

Those almost frozen blue eyes finally regained their sparkle.

• Someone pasted crystal structures at this point:
'''
# 1
Structure and computed powder diffractogram of TlTe2I8 (DFT lattice parameters and positions (PBE); Cu Ka).

Largest 8 diffraction maxima, most intense first, 5 to 70 degrees two-theta:
2θ = 24.5°, d 3.633, I 100; 2θ = 34.8°, d 2.582, I 88; 2θ = 35.1°, d 2.556, I 57; 2θ = 17.2°, d 5.163, I 49; 2θ = 17.3°, d 5.113, I 42; 2θ = 45.6°, d 1.988, I 41; 2θ = 19.9°, d 4.471, I 33; 2θ = 28.6°, d 3.116, I 26

Cell and atoms:
abc: 10.3262 10.3262 6.2317
angles: 90.00 90.00 120.00
Fractional positions:
1 Tl 0.0000 0.0000 0.0000
2 Te 0.3333 0.6667 0.2436
3 Te 0.6667 0.3333 0.7564
4 I 0.1713 0.8258 0.2622
5 I 0.1742 0.3454 0.2622
6 I 0.3333 0.6667 0.7517
7 I 0.3454 0.1713 0.7378
8 I 0.6546 0.8287 0.2622
9 I 0.6667 0.3333 0.2483
10 I 0.8258 0.6546 0.7378
11 I 0.8287 0.1742 0.7378



# 2
Structure and computed powder diffractogram of PdO8 (DFT lattice parameters and positions (PBE); Cu Ka).

Largest 8 diffraction maxima, most intense first, 5 to 70 degrees two-theta:
2θ = 21.8°, d 4.068, I 100; 2θ = 15.4°, d 5.753, I 53; 2θ = 37.9°, d 2.373, I 34; 2θ = 30.6°, d 2.921, I 32; 2θ = 43.1°, d 2.099, I 29; 2θ = 44.2°, d 2.050, I 28; 2θ = 31.1°, d 2.876, I 28; 2θ = 36.7°, d 2.450, I 21

Cell and atoms:
abc: 6.2527 6.2527 6.2527
angles: 98.83 98.83 133.86
Fractional positions:
1 Pd 0.0000 0.0000 0.0000
2 O 0.0000 0.4243 0.4243
3 O 0.0000 0.5757 0.5757
4 O 0.3986 0.3986 0.7972
5 O 0.3986 0.6014 0.0000
6 O 0.4243 0.0000 0.4243
7 O 0.5757 0.0000 0.5757
8 O 0.6014 0.3986 0.0000
9 O 0.6014 0.6014 0.2028



# 3
Structure and computed powder diffractogram of Ho5HgTe5 (DFT lattice parameters and positions (PBE); Cu Ka).

Largest 8 diffraction maxima, most intense first, 5 to 70 degrees two-theta:
2θ = 41.7°, d 2.168, I 100; 2θ = 29.1°, d 3.072, I 89; 2θ = 29.2°, d 3.059, I 87; 2θ = 29.3°, d 3.046, I 86; 2θ = 41.8°, d 2.163, I 66; 2θ = 68.4°, d 1.372, I 39; 2θ = 51.6°, d 1.772, I 36; 2θ = 52.0°, d 1.760, I 35

Cell and atoms:
abc: 7.5177 7.5177 8.5906
angles: 106.81 106.81 48.24
Fractional positions:
1 Ho 0.0000 0.0000 0.0000
2 Ho 0.3371 0.3371 0.1660
3 Ho 0.3375 0.3375 0.6699
4 Ho 0.6625 0.6625 0.3301
5 Ho 0.6629 0.6629 0.8340
6 Hg 0.5000 0.5000 0.0000
7 Te 0.1652 0.1652 0.8281
8 Te 0.1704 0.1704 0.3368
9 Te 0.5000 0.5000 0.5000
10 Te 0.8296 0.8296 0.6632
11 Te 0.8348 0.8348 0.1719
'''

"It turns out that you are..."

The girl suddenly burst into tears.

She knelt on the bed with a pop, stretched out her trembling hands to hold the seed, held it tenderly in her arms, and held it tightly to her heart.

When the tears fell, the girl disappeared.


It's a warm light and a pure darkness,

One on the left and one on the right,

wrapped in seeds,

It seems to form a world,


The fate of seeds.

... ...

... ...

The next morning.

Li Wuyu opened the door. He subconsciously looked at Shi Xiaobai's wing and suddenly froze on the spot.

A huge green tree broke through the roof of the wing and spread over half of the courtyard, its trunk growing towards the sky.

In the morning light,

The branches of the green trees are covered with purple buds.

... ...

... ...

This is...where

Shi Xiaobai slowly opened his eyes, and what he saw was the clear blue sky and towering thousand-year-old trees.

He remembered that he was obviously in the wing of the Li family's mansion, and he kissed those soft lips out of "impulse", but suddenly he felt the sweet breath on his lips, like nectar.

An unbearable "hunger" suddenly arose, and he couldn't help but stick his tongue in, "greedily" absorbing it, and then he fell into a trance and lost consciousness.

When I opened my eyes again, I appeared in this strange place.

where is this place

Where is Huali

Shi Xiaobai looked around blankly.

I found myself in a primeval forest.

The branches of the trees are intertwined, and the lush branches and leaves are like green clouds. A huge camphor tree is right in front of you. Its bark is dark green, and its thick and strange-shaped branches are coiled around the tree like a dragon. With.

The breeze blows, and the branches and leaves make a rustling sound, just like the sigh of a dragon.

Shi Xiaobai walked into the forest and suddenly saw a huge black centipede, like a majestic mountain range, crawling slowly across. Wherever it went, trees were staggered and broken, like the traces left by a giant python after crawling across the grass.

Mud and gravel shot out in all directions along the path it passed. Thousands of huge abdomens hit the ground in an undulating manner. The cracks in the earth spread intertwinedly, collapsing everywhere like cracks in the ice.

Shi Xiaobai was surprised to find that he knew most of the animals, birds, beasts, and insects he saw in this forest, but they all had a strange feature, that is, they were several times larger than what he remembered.

Centipedes the size of pythons, magpies the size of eagles, squirrels the size of lions... But in the towering woods hundreds of meters high, they still look very small.

Everywhere he went was green and the air was extremely fresh. Shi Xiaobai walked through the woods and suddenly saw a lake in the distance. The surface of the lake was green and crystal clear, like a clear mirror, reflecting the shadow of the ancient trees.

Shi Xiaobai walked towards the lake.


A wooden arrow suddenly shot through the air!

Although the wooden arrow was shot at a tricky angle, its speed was not fast and its power was somewhat weak.

Shi Xiaobai gently raised his hand and accurately clamped the wooden arrow between his two fingers.


A clear girl's voice sounded from the bushes in the distance, with a surprised tone.


Shi Xiaobai asked, turning and walking towards the bushes.

"You, you are not allowed to come here!"

The little eyes hidden in the bushes blinked in panic, as if the stars in the sky were twinkling, and she issued a rapid but non-deterrent warning.

Shi Xiaobai stopped and asked, "I am not a bad person and will not harm you. I just want to know, where is this place?"

"Liar! My mother-in-law said that humans are all bad people!"

The little girl tightened her bow and arrow, and the wooden arrow slightly poked out from the bushes, aiming at Shi Xiaobai, and said in a panic: "Also, this is a forbidden area, you, you, how did you get in?"

Shi Xiaobai was slightly startled. The little girl's voice said "human beings are all bad people". Doesn't that mean she is not human

Where is this place

What kind of creature is that that sounds like a little girl hiding in the bushes

"Bad guy, go away, go away! If you don't go, if you don't go, I will shoot you!"

The "little girl" seemed to be afraid of humans, her voice sounded very nervous, and her wooden arrows were trembling slightly.

Spending it like this is just a waste of time, and the other party probably won't dare to take the initiative.

Shi Xiaobai thought so, and without any warning, he performed the Crab Step and rushed out with a whoosh. He rushed behind the bushes in the blink of an eye and reached out to grab the "little girl".


The "little girl" suddenly screamed, "Bad guy! Let me go! Let me go!"

Shi Xiaobai took a closer look and couldn't help being surprised, she was really a little girl.

Two small purple braids slapped his arms as the little head shook in panic, and two white and delicate calves kicked out of the snow-white skirt and kicked on his calves.

This is obviously a little girl of six or seven years old.

"Let me go! Let me go!"

The little girl struggled hard and screamed with tears.

"Don't be afraid, I won't hurt you!"

Shi Xiaobai reluctantly let go of the little girl's collar, raised his hands and took a few steps back.

The little girl immediately swooped behind the ancient tree like a frightened rabbit. After a long time, she carefully poked her head out and stared at Shi Xiaobai warily.

Only then did Shi Xiaobai see the little girl's appearance clearly, and his eyes suddenly widened.

The pear-shaped little face was extremely delicate, and the crystal-bright blue eyes stared at him closely, with nervousness and fear.

"Hua Li!?"

Shi Xiaobai was stunned. Although the little girl was only six or seven years old, her facial features were exactly the same as Hua Li!


The little girl suddenly panicked and said, "Bad guy, how do you know my name!?"




(S: Thank you for being so gentle and still waiting for the boy's return. As I said, he is Duan Geng, not a eunuch. As long as you live longer than me, you will definitely see the end of this book. So, I, Hu Hansan, am back again! Absolutely. Options, still going on!)